Excerpt:
+++
# 1
Computed, not measured: a structure of composition C26H35BMnN13O in a non-equilibrium geometry, with ωB97M-V/def2-TZVPD.

The geometry in XYZ format:
```
77
Properties=species:S:1:pos:R:3:forces:R:3
Mn 0.2136 0.1502 0.1652 -0.8 -1.7 0.3
C 4.4756 -0.2863 0.3876 0.0 0.0 0.0
C 3.3241 0.2767 -0.1658 0.0 0.0 0.0
N 2.2306 -0.2265 0.3975 0.4 0.4 0.1
N 2.6541 -1.1186 1.3179 -0.1 0.0 -0.1
C 3.9948 -1.1772 1.3269 0.0 0.0 0.0
B 1.6297 -1.9921 2.0617 0.2 -0.1 0.2
N 0.6768 -1.0813 2.8568 -0.2 -0.1 0.0
C 0.3884 -1.0826 4.1679 0.0 0.0 0.0
C -0.6800 -0.2354 4.3803 0.0 0.0 0.0
C -0.9908 0.2431 3.1047 -0.1 0.0 -0.1
N -0.1733 -0.2773 2.1912 0.2 0.7 0.3
N 0.7967 -2.7389 0.9979 -0.1 0.1 0.0
C 0.6341 -4.0541 0.7784 0.0 0.0 0.0
C -0.2308 -4.2112 -0.2860 0.0 0.0 0.0
C -0.5580 -2.9014 -0.6538 0.0 0.0 -0.1
N 0.0644 -2.0217 0.1229 0.3 -0.1 0.1
H 5.5025 -0.0748 0.1451 0.0 0.0 0.0
H 3.2373 0.9987 -0.9623 0.0 0.0 0.0
H 4.5055 -1.8490 1.9977 0.0 0.0 0.0
H 2.1851 -2.7703 2.7901 0.0 0.1 -0.1
H 0.9558 -1.6948 4.8494 0.0 0.0 0.0
H -1.1653 -0.0079 5.3132 0.0 0.0 0.0
H -1.7586 0.9431 2.8110 0.1 0.0 0.0
H 1.1383 -4.7780 1.3979 0.0 0.0 0.0
H -0.5737 -5.1316 -0.7262 0.0 0.0 0.0
H -1.1999 -2.5655 -1.4561 0.0 0.0 0.0
N -1.8972 -0.1015 0.0533 -0.2 0.2 -0.3
C -2.6897 1.1252 -0.0825 -0.1 0.0 0.0
C -1.9948 1.9748 -1.1196 0.1 0.0 0.0
N -0.6096 2.1400 -0.6803 0.4 0.3 0.2
H -2.0175 -0.6694 -0.7795 -0.1 0.0 0.0
H -2.1843 -0.6700 0.8414 0.0 0.0 0.0
H -2.6887 1.6416 0.8797 0.0 0.0 0.0
H -3.7309 0.9415 -0.3556 0.0 0.0 0.0
H -2.5230 2.9185 -1.2705 0.0 0.0 0.0
H -1.9794 1.4481 -2.0761 0.0 0.0 0.0
H -0.5416 2.7871 0.0980 -0.1 0.1 0.0
H -0.0332 2.5056 -1.4287 0.0 -0.1 -0.1
C 1.5929 -2.4099 -5.7405 0.0 0.0 0.1
N 1.8654 -1.7827 -4.4524 0.0 0.1 -0.1
N 0.9431 -0.9181 -3.8892 -0.2 -0.1 0.0
C 1.1288 -0.8688 -2.5279 0.0 0.3 0.1
O 0.4853 -0.0384 -1.8349 0.0 -0.1 -0.6
C 2.1474 -1.8234 -2.2392 -0.1 0.0 0.1
C 2.5371 -2.3659 -3.4285 0.1 -0.1 -0.1
C 3.5133 -3.4571 -3.6956 0.0 0.0 0.0
C 0.2389 0.0431 -4.6661 0.1 -0.1 0.1
C -1.1201 0.2108 -4.4490 0.0 0.0 0.0
C -1.8134 1.1612 -5.1830 0.0 0.0 0.0
C -1.1534 1.9219 -6.1402 0.0 0.0 0.0
C 0.2045 1.7355 -6.3588 0.0 0.0 0.0
C 0.9096 0.8003 -5.6143 0.0 0.1 0.0
H 0.8337 -1.8335 -6.2596 0.0 0.0 0.0
H 1.2332 -3.4313 -5.6118 0.0 0.0 0.0
H 2.4979 -2.4111 -6.3436 0.0 0.0 0.0
H 2.5352 -2.0614 -1.2654 0.0 0.0 0.0
H 3.9945 -3.7513 -2.7663 0.0 0.0 0.0
H 4.2804 -3.1347 -4.4007 0.0 0.0 0.0
H 3.0184 -4.3347 -4.1164 0.0 0.0 0.0
H -1.6180 -0.4069 -3.7140 0.0 0.0 0.0
H -2.8754 1.2956 -5.0209 0.0 0.0 0.0
H -1.6994 2.6539 -6.7202 0.0 0.0 0.0
H 0.7214 2.3253 -7.1042 0.0 0.0 0.0
H 1.9738 0.6601 -5.7604 0.0 0.0 0.0
N 4.0848 4.3123 0.3171 0.0 -0.1 0.1
C 3.2483 3.6277 1.1477 0.1 0.1 -0.2
C 2.0910 2.9941 0.6643 -0.1 0.1 -0.1
N 1.2770 2.3172 1.4474 0.1 0.3 0.4
C 1.5821 2.2833 2.7520 0.1 0.0 -0.1
C 2.7236 2.9032 3.2213 0.1 0.0 0.0
N 3.5659 3.5683 2.4335 0.0 0.0 0.1
H 3.9175 4.3856 -0.6672 0.0 0.0 0.0
H 4.9178 4.7166 0.7049 0.0 0.0 0.0
H 1.8512 3.0346 -0.3950 0.1 0.0 0.0
H 0.9233 1.7480 3.4190 0.0 0.0 0.0
H 2.9733 2.8586 4.2752 0.0 0.0 0.0
```
Positions in Å, forces in eV/Å.

Summary:
Gap between HOMO and LUMO (alpha / beta) (hartree): 0.315 / 0.298
HOMO level (alpha / beta) (eV): -10.4 / -9.9
Net charge: +1
Multiplicity: 2
<S²>: 0.90

# 2
Computed, not measured: a cluster of 5 separate species, C26H35Br2NO15 in total in a non-equilibrium geometry, with ωB97M-V/def2-TZVPD.

The geometry in XYZ format:
```
79
Properties=species:S:1:pos:R:3:forces:R:3
C -0.8900 -4.8783 2.4698 0.3 0.0 0.0
C 0.2822 -5.1990 1.5813 -0.4 -0.4 -0.5
C 1.2190 -6.2529 2.0686 -0.3 -0.3 -0.2
N 0.4718 -4.6517 0.4365 0.8 0.8 0.9
C 0.0378 -3.3463 0.2688 -0.3 -0.7 -0.1
C 0.7100 -2.2335 0.6038 -0.4 -0.3 -0.2
C 2.0686 -2.1655 1.1942 -0.2 0.9 -0.1
Br 3.2167 -1.3083 -0.1485 0.1 -0.4 0.1
C 2.1717 -1.3488 2.4953 -0.2 -0.6 0.4
C 0.8996 -1.3309 3.3419 0.4 0.4 0.3
Br 3.6077 -2.1930 3.5591 0.0 0.2 -0.1
C -0.1347 -1.0893 0.2081 0.5 0.1 0.2
O 0.0461 0.0794 0.3715 -0.2 -0.3 0.2
O -1.2671 -1.5723 -0.4191 -0.5 0.2 -0.1
+++

To do:
Type out all of the notes further up without additions, please.

Result:
# 1
Computed, not measured: a structure of composition C26H35BMnN13O in a non-equilibrium geometry, with ωB97M-V/def2-TZVPD.

The geometry in XYZ format:
```
77
Properties=species:S:1:pos:R:3:forces:R:3
Mn 0.2136 0.1502 0.1652 -0.8 -1.7 0.3
C 4.4756 -0.2863 0.3876 0.0 0.0 0.0
C 3.3241 0.2767 -0.1658 0.0 0.0 0.0
N 2.2306 -0.2265 0.3975 0.4 0.4 0.1
N 2.6541 -1.1186 1.3179 -0.1 0.0 -0.1
C 3.9948 -1.1772 1.3269 0.0 0.0 0.0
B 1.6297 -1.9921 2.0617 0.2 -0.1 0.2
N 0.6768 -1.0813 2.8568 -0.2 -0.1 0.0
C 0.3884 -1.0826 4.1679 0.0 0.0 0.0
C -0.6800 -0.2354 4.3803 0.0 0.0 0.0
C -0.9908 0.2431 3.1047 -0.1 0.0 -0.1
N -0.1733 -0.2773 2.1912 0.2 0.7 0.3
N 0.7967 -2.7389 0.9979 -0.1 0.1 0.0
C 0.6341 -4.0541 0.7784 0.0 0.0 0.0
C -0.2308 -4.2112 -0.2860 0.0 0.0 0.0
C -0.5580 -2.9014 -0.6538 0.0 0.0 -0.1
N 0.0644 -2.0217 0.1229 0.3 -0.1 0.1
H 5.5025 -0.0748 0.1451 0.0 0.0 0.0
H 3.2373 0.9987 -0.9623 0.0 0.0 0.0
H 4.5055 -1.8490 1.9977 0.0 0.0 0.0
H 2.1851 -2.7703 2.7901 0.0 0.1 -0.1
H 0.9558 -1.6948 4.8494 0.0 0.0 0.0
H -1.1653 -0.0079 5.3132 0.0 0.0 0.0
H -1.7586 0.9431 2.8110 0.1 0.0 0.0
H 1.1383 -4.7780 1.3979 0.0 0.0 0.0
H -0.5737 -5.1316 -0.7262 0.0 0.0 0.0
H -1.1999 -2.5655 -1.4561 0.0 0.0 0.0
N -1.8972 -0.1015 0.0533 -0.2 0.2 -0.3
C -2.6897 1.1252 -0.0825 -0.1 0.0 0.0
C -1.9948 1.9748 -1.1196 0.1 0.0 0.0
N -0.6096 2.1400 -0.6803 0.4 0.3 0.2
H -2.0175 -0.6694 -0.7795 -0.1 0.0 0.0
H -2.1843 -0.6700 0.8414 0.0 0.0 0.0
H -2.6887 1.6416 0.8797 0.0 0.0 0.0
H -3.7309 0.9415 -0.3556 0.0 0.0 0.0
H -2.5230 2.9185 -1.2705 0.0 0.0 0.0
H -1.9794 1.4481 -2.0761 0.0 0.0 0.0
H -0.5416 2.7871 0.0980 -0.1 0.1 0.0
H -0.0332 2.5056 -1.4287 0.0 -0.1 -0.1
C 1.5929 -2.4099 -5.7405 0.0 0.0 0.1
N 1.8654 -1.7827 -4.4524 0.0 0.1 -0.1
N 0.9431 -0.9181 -3.8892 -0.2 -0.1 0.0
C 1.1288 -0.8688 -2.5279 0.0 0.3 0.1
O 0.4853 -0.0384 -1.8349 0.0 -0.1 -0.6
C 2.1474 -1.8234 -2.2392 -0.1 0.0 0.1
C 2.5371 -2.3659 -3.4285 0.1 -0.1 -0.1
C 3.5133 -3.4571 -3.6956 0.0 0.0 0.0
C 0.2389 0.0431 -4.6661 0.1 -0.1 0.1
C -1.1201 0.2108 -4.4490 0.0 0.0 0.0
C -1.8134 1.1612 -5.1830 0.0 0.0 0.0
C -1.1534 1.9219 -6.1402 0.0 0.0 0.0
C 0.2045 1.7355 -6.3588 0.0 0.0 0.0
C 0.9096 0.8003 -5.6143 0.0 0.1 0.0
H 0.8337 -1.8335 -6.2596 0.0 0.0 0.0
H 1.2332 -3.4313 -5.6118 0.0 0.0 0.0
H 2.4979 -2.4111 -6.3436 0.0 0.0 0.0
H 2.5352 -2.0614 -1.2654 0.0 0.0 0.0
H 3.9945 -3.7513 -2.7663 0.0 0.0 0.0
H 4.2804 -3.1347 -4.4007 0.0 0.0 0.0
H 3.0184 -4.3347 -4.1164 0.0 0.0 0.0
H -1.6180 -0.4069 -3.7140 0.0 0.0 0.0
H -2.8754 1.2956 -5.0209 0.0 0.0 0.0
H -1.6994 2.6539 -6.7202 0.0 0.0 0.0
H 0.7214 2.3253 -7.1042 0.0 0.0 0.0
H 1.9738 0.6601 -5.7604 0.0 0.0 0.0
N 4.0848 4.3123 0.3171 0.0 -0.1 0.1
C 3.2483 3.6277 1.1477 0.1 0.1 -0.2
C 2.0910 2.9941 0.6643 -0.1 0.1 -0.1
N 1.2770 2.3172 1.4474 0.1 0.3 0.4
C 1.5821 2.2833 2.7520 0.1 0.0 -0.1
C 2.7236 2.9032 3.2213 0.1 0.0 0.0
N 3.5659 3.5683 2.4335 0.0 0.0 0.1
H 3.9175 4.3856 -0.6672 0.0 0.0 0.0
H 4.9178 4.7166 0.7049 0.0 0.0 0.0
H 1.8512 3.0346 -0.3950 0.1 0.0 0.0
H 0.9233 1.7480 3.4190 0.0 0.0 0.0
H 2.9733 2.8586 4.2752 0.0 0.0 0.0
```
Positions in Å, forces in eV/Å.

Summary:
Gap between HOMO and LUMO (alpha / beta) (hartree): 0.315 / 0.298
HOMO level (alpha / beta) (eV): -10.4 / -9.9
Net charge: +1
Multiplicity: 2
<S²>: 0.90

# 2
Computed, not measured: a cluster of 5 separate species, C26H35Br2NO15 in total in a non-equilibrium geometry, with ωB97M-V/def2-TZVPD.

The geometry in XYZ format:
```
79
Properties=species:S:1:pos:R:3:forces:R:3
C -0.8900 -4.8783 2.4698 0.3 0.0 0.0
C 0.2822 -5.1990 1.5813 -0.4 -0.4 -0.5
C 1.2190 -6.2529 2.0686 -0.3 -0.3 -0.2
N 0.4718 -4.6517 0.4365 0.8 0.8 0.9
C 0.0378 -3.3463 0.2688 -0.3 -0.7 -0.1
C 0.7100 -2.2335 0.6038 -0.4 -0.3 -0.2
C 2.0686 -2.1655 1.1942 -0.2 0.9 -0.1
Br 3.2167 -1.3083 -0.1485 0.1 -0.4 0.1
C 2.1717 -1.3488 2.4953 -0.2 -0.6 0.4
C 0.8996 -1.3309 3.3419 0.4 0.4 0.3
Br 3.6077 -2.1930 3.5591 0.0 0.2 -0.1
C -0.1347 -1.0893 0.2081 0.5 0.1 0.2
O 0.0461 0.0794 0.3715 -0.2 -0.3 0.2
O -1.2671 -1.5723 -0.4191 -0.5 0.2 -0.1